Friday, September 4, 2009

One Week Down

<<<
[1]
>>>

Alright, so after a several-week hiatus, I'm finally writing again. Life's been pretty crazy as of late, and with school at the Y starting I've hardly gotten a moment to myself (or at least a long enough moment to worry about anything like writing a blog). But now, with a three-day weekend commencing, it's about time I add another entry. So here we go!

Things over here have been going fairly well--I've been chugging along, trying to keep up with my classes. Of course, it didn't help that all three of my Monday classes gave me a double load of homework. Their usual line was: "You should have read that before class, but you can read it along with today's assignment." Evil, considering that lead to probably around 100 or so pages to be read in two days. So yeah, it's been busy, but now it's the weekend, meaning three days to try to get ahead. My classes have generally proved interesting thus far--I'm really looking forward to learning about electricity and magnetism in Physics 220 and about linear algebra in Math 313, though I wish I could remember all the math I forgot in the last two years. There's also CS 142--Intro to Programming--which is turning out a lot simpler than I had anticipated, and really should be quite enjoyable. The Tuesday and Thursday selection is decent, with a very engaging New Testament teacher who is very passionate about what she teaches. I wish I could say the same for my Psychology class, however. Now, I don't want to rant about it, but the professor for that class seems a bit...lacking, in the enthusiasm department, though perhaps that's just my perception, considering I've learned a lot of the material we've covered already through high school psychology and statistics classes. We'll see where it leads. Anyways, I've probably rambled on enough, so perhaps I'll describe Social Dance and Computer Physics Lab at a later point. For now, let's move on, shall we?

Now I'm sure after last entry that somewhere out there there's someone who wants an update on my book, right? Well, I've finished the editing I wanted to do--now on to publishing. Of course, upon looking into the topic I was quite overwhelmed, and with school looming closer at the time I decided to leave it for the time and see what I could find over in Provo. If you haven't guessed it yet, I haven't had any time to deal with that yet. Don't lose hope yet, though--as soon as I've got the classes under control my next goal will be to start searching for a publisher! In fact, perhaps to see if anyone will give me a response (or if anyone has even read this far), I'd welcome any and all suggestions as for places to look into for publishing or any general ideas whatsoever. I hope to hear from you all (or at least those who care much about it) and I'll sign off for now. Until next time!


  1. Probably the toughest thing about coming back to school after so long is remembering all the things you forgot over that time. I can definitely sympathize with you.

  2. Why do you call it the 'Y'? Maybe it is just me, but 'the Young' doesn't make sense.

    The Psychology professor might get more enthusiastic in other parts of the class. Hard to be enthusiastic about the intro/beginner stuff, right? Or it could suck and you are in for a long semester.
